So I’ve managed to write software that a lot of people are
suddenly interested in. It’s an interesting thing to say the
least. However “becoming famous” was nothing like what I’d
had imagined. Here’s what happened after my initial

  1. The media picks it up.
    The media is interested in new stories. So they post them.
    However, they often prefer to give those stories their own spin.
    (The really weird stories have luckily already disappeared
    from Google, so no links to them.) None of those journalists
    contacted me about it, they just wrote something.

  2. The people pick it up.
    Lots of people start talking about it. How do I know? I
    googled. Only 5 people talked to me about it. Mostly they
    just went into obscure forums or chats to discuss it and
    complain about missing features. Almost nobody of them
    realizes that it’s a really good idea to come to me and ask
    questions. It’s highly motivating if someone shows interest
    in my product. Even if it’s just complaining that it doesn’t
    build on his box. And if you ask, there’s a high chance I
    get interested in solving your problem, especially if it’s a
    pretty simple problem.
    (Side note: The Ubuntu forums are
    lucky to have such a high Google ranking, so I could at
    least find their questions.)

  3. When there’s a release, the distros pick it up.
    Distros are really fast at taking your source code and
    sticking it in the unstable branch of their package
    repositories. Lots of them, in particular the big ones,
    contact you to tell you about it and ask questions. The
    process of integrating new software into distros seems to
    work really well. Congrats from me to the distro people for
    that. Great work you’re doing there. In particular Gentoo.

  4. People start blaming
    They seem to read everything I have said in the past and
    spin it in their direction. I’m suddenly personally
    responsible for not working on Gnash and fragmenting the
    Free Flash movement, I sure as hell have to provide
    OpenBSD support
    or my software is crap, stuff like that.
    Again, noone comes and asks, that would be far too
    complicated. And probably wouldn’t be compatible to their
    predetermined opinion.

  5. Hackers don’t show up
    I was expecting some interested people to show up and have a
    look at the code. In particular because the code is
    documented far better than all my previous code (including
    GStreamer ;)). I think there have been 2 people so far that
    looked at it. But that’s about it. Probably everyone is busy
    doing their own project. Or people still think doing Flash
    is hard (hint: it’s not).

But then, the few people that have shown up and talked to me
have made a lot of things happen and I guess I’ll cut a new
release soon to make those people happy. In particular:

== The piece is interrupted by molecular data ==
********
Entry 1:
********

  • People wanted an easy API to embed Flash files. So I
    created libswfdec-gtk. You should be able to play Youtube
    videos in your Gtk app with 20 lines of C.

  • Or you could do it in 10 lines of Python with the new Pyswfdec Python
    that Gian Mario
    has been working on.

  • Last but not least I’ve managed to use GStreamer instead
    of ffmpeg/mad for video and audio decoding. While that
    doesn’t sound to exciting at first, it means you can build
    swfdec now without linking to patented multimedia formats
    and still be able to enjoy Youtube. I know at least Fedora
    was very interested in that.

No new work on Flash features so far, since I’ve been
working on a branch redoing the ActionScript interpreter.
Once that hits (that’ll definitely be after next release),
it’ll make a huge number of Flash files supported. But
that’s still some work.

What I’ve been wondering and like to get some feedback from
people active in this area is if it’s a good idea to export
the script interpreter. ActionScript is
almost the same as Javascript (same syntax), so it offers a
sandboxed execution environment. In this case completely
GObject’ified. So you could use it if you wanted to script
Flash files, or you could even add hooks to it in your own
app and download interesting scripts from the web. Think Get Hot new Stuff
with scripts. To me that’s somewhere between total crack and
really exciting.